(Work order)
Work out how many lines below have the word "total" in them; a number is enough.

(Entries)
/*
No. 1
## MoWSe3S (GGA-PBE)

Data for a relaxed MoWSe3S crystal.

Unit cell a=3.2865 b=3.2865 c=37.3539 alpha=90.00 beta=90.00 gamma=120.00
With the nearest neighbours (Å) after each atom.
Element x y z (fractional)
Mo  0.0000  0.0000  0.0000  6 Se 2.54
Mo  0.3333  0.6667  0.1879  6 Se 2.54
W  0.0000  0.0000  0.3757  6 S 2.44
W  0.3333  0.6667  0.5636  6 Se 2.55
Se  0.0000  0.0000  0.1428  3 Mo 2.54
Se  0.0000  0.0000  0.2330  3 Mo 2.54
Se  0.0000  0.0000  0.5182  3 W 2.55
Se  0.0000  0.0000  0.6090  3 W 2.55
Se  0.3333  0.6667  0.0451  3 Mo 2.54
Se  0.3333  0.6667  0.9549  3 Mo 2.54
S  0.3333  0.6667  0.3345  3 W 2.44
S  0.3333  0.6667  0.4170  3 W 2.44

Calculated values
raw total energy	-7.074	eV/atom
energy of formation from the pure elements	-0.75	eV per atom
size of the total moment	0.000	μB/atom
ΔE to the lowest computed polymorph	0.1	meV/atom
volume	29.12	Å³/atom
space-group type	P3m1

***

No. 2
## Mo2WSe4S2 (GGA-PBE)

Data for a relaxed Mo2WSe4S2 crystal.

Unit cell a=3.2742 b=3.2742 c=30.2002 alpha=90.00 beta=90.00 gamma=120.00
With the nearest neighbours (Å) after each atom.
Element x y z (fractional)
Mo  0.0000  0.0000  0.2313  6 Se 2.54
Mo  0.0000  0.0000  0.7687  6 Se 2.54
W  0.3333  0.6667  0.0000  6 S 2.44
Se  0.3333  0.6667  0.1754  3 Mo 2.54
Se  0.3333  0.6667  0.2873  3 Mo 2.54
Se  0.3333  0.6667  0.7127  3 Mo 2.54
Se  0.3333  0.6667  0.8246  3 Mo 2.54
S  0.0000  0.0000  0.0512  3 W 2.44
S  0.0000  0.0000  0.9488  3 W 2.44

Calculated values
raw total energy	-7.032	eV/atom
energy of formation from the pure elements	-0.82	eV per atom
size of the total moment	0.000	μB/atom
ΔE to the lowest computed polymorph	0.0	meV/atom
volume	31.15	Å³/atom
space-group type	P-6m2

***

No. 3
## MoWSe2S2 (GGA-PBE)

Data for a relaxed MoWSe2S2 crystal.

Unit cell a=3.2514 b=3.2514 c=36.8922 alpha=90.00 beta=90.00 gamma=120.00
With the nearest neighbours (Å) after each atom.
Element x y z (fractional)
Mo  0.0000  0.0000  0.0000  6 Se 2.53
Mo  0.3333  0.6667  0.1879  6 Se 2.53
W  0.0000  0.0000  0.3758  6 S 2.44
W  0.3333  0.6667  0.5636  6 S 2.44
Se  0.0000  0.0000  0.1418  3 Mo 2.53
Se  0.0000  0.0000  0.2340  3 Mo 2.53
Se  0.3333  0.6667  0.0461  3 Mo 2.53
Se  0.3333  0.6667  0.9539  3 Mo 2.53
S  0.0000  0.0000  0.5216  3 W 2.44
S  0.0000  0.0000  0.6057  3 W 2.44
S  0.3333  0.6667  0.3337  3 W 2.44
S  0.3333  0.6667  0.4178  3 W 2.44

Calculated values
raw total energy	-7.243	eV/atom
energy of formation from the pure elements	-0.90	eV per atom
size of the total moment	0.000	μB/atom
ΔE to the lowest computed polymorph	0.2	meV/atom
volume	28.15	Å³/atom
space-group type	P3m1

***

No. 4
## MoWSe2S2 (GGA-PBE)

Data for a relaxed MoWSe2S2 crystal.

Unit cell a=3.2556 b=3.2556 c=36.3313 alpha=90.00 beta=90.00 gamma=120.00
With the nearest neighbours (Å) after each atom.
Element x y z (fractional)
Mo  0.3333  0.6667  0.2182  6 Se 2.53
Mo  0.6667  0.3333  0.7818  6 Se 2.53
W  0.3333  0.6667  0.5939  6 S 2.44
W  0.6667  0.3333  0.4061  6 S 2.44
Se  0.3333  0.6667  0.7351  3 Mo 2.53
Se  0.3333  0.6667  0.8286  3 Mo 2.53
Se  0.6667  0.3333  0.1714  3 Mo 2.53
Se  0.6667  0.3333  0.2649  3 Mo 2.53
S  0.3333  0.6667  0.3634  3 W 2.44
S  0.3333  0.6667  0.4487  3 W 2.44
S  0.6667  0.3333  0.5513  3 W 2.44
S  0.6667  0.3333  0.6366  3 W 2.44

Calculated values
raw total energy	-7.243	eV/atom
energy of formation from the pure elements	-0.90	eV per atom
size of the total moment	0.000	μB/atom
ΔE to the lowest computed polymorph	0.3	meV/atom
volume	27.79	Å³/atom
space-group type	P-3m1

***

No. 5
## MoW3Se4S4 (GGA-PBE)

Data for a relaxed MoW3Se4S4 crystal.

Unit cell a=3.2528 b=3.2528 c=36.8834 alpha=90.00 beta=90.00 gamma=120.00
With the nearest neighbours (Å) after each atom.
Element x y z (fractional)
Mo  0.0000  0.0000  0.0000  6 Se 2.53
W  0.0000  0.0000  0.3757  6 Se 2.54
W  0.3333  0.6667  0.1879  6 S 2.44
W  0.3333  0.6667  0.5636  6 S 2.44
Se  0.3333  0.6667  0.0460  3 Mo 2.53
Se  0.3333  0.6667  0.3294  3 W 2.54
*/

(Result)
8